1.1. The following information is provided in compliance with section 10 of Portuguese Decree-Law 7/2004 of January 7: The owner of this website is James Coil, who can be contacted directly by mail at Apartado 1032, EC Vilamoura, Quarteira 8125-998, Portugal, or by email at the address found in the Contact section of this website.
    1.2. James Coil is duly registered with the Portuguese tax authority as a trabalhador independente, with Tax ID number 304646121, as an independent service provider doing business in Portugal under EU and Portuguese law and the U.S.-Portugal Tax Treaty. As a U.S. citizen, he also remains in compliance with all requirements imposed by the United States Internal Revenue Service.
    2.1. James Coil guarantees maximum privacy and discretion for all clients and potential clients. When doing business with him, your information will not be shared with, disclosed to, or transferred to any third parties at any time (except for disclosure of client names and ID numbers to the tax authority in Portugal, as required by law).
    2.2. No documents provided for purposes of their assessment or translation will be retained or stored beyond the date upon which payment for the corresponding translation has been received, or beyond the date when a potential client declines the corresponding translation services offered, as the case may be. James Coil does not use or disclose any client names or logos for marketing or advertising purposes.
    2.3. Personal data protection takes place in compliance with the European Union’s General Data Protection Regulation or “GDPR” (Regulation (EU) 2016/679 of the European Parliament and of the Council of 27 April 2016) as a “data controller” or “data processor”, as the case may be, and in compliance with the United States Health Insurance Portability and Accountability Act (HIPAA) as a “business associate”.
    3.1. Physical (printed) copies are not made of any documents received electronically. James Coil does not make any use of “machine translation”, “cloud services”, “cloud storage”, “online software”, or “pirated software”, since these could potentially cause information to be disclosed to third parties.
    3.2. The technical and organizational security measures implemented include, among others, use of encrypted email services, strong and unique passwords on IT equipment, physical securement of premises to prevent unauthorized access, use of secure VPN connections when transferring files and communicating with clients, and secure deletion of documents when no longer needed for purposes of assessment or translation.
    3.3. Any data or information provided by any of this website’s users after contacting James Coil about a potential translation project will be processed in accordance with his Terms of Service document, which contains more detailed information about the applicable IT security measures, data storage periods, data deletion, exercise of the rights of data subjects, etc.
    4.1. This website is provided solely for the purpose of one-way communication of commercial information.
[Attached: data records]
- - -
No. 1
AcTb3Sm5: optimized geometry, PBE.

## Properties
Its excess energy over the best structure of this formula in the dataset is 457.9 meV per atom. As for the energy of formation from the pure elements: 539 meV/atom.

extended XYZ file:
```
18
Lattice="8.173 -1.195 1.986 1.088 8.188 1.986 4.888 3.691 12.397" Properties=species:S:1:pos:R:3 pbc="T T T"
Ac 12.948 9.777 13.526
Ac 1.202 0.908 2.843
Tb 10.245 7.736 12.926
Tb 7.811 5.898 6.896
Tb 0.000 0.000 0.000
Tb 2.444 1.846 6.199
Tb 3.905 2.949 3.443
Tb 6.338 4.786 9.472
Sm 8.120 2.491 6.559
Sm 2.888 5.805 1.986
Sm 6.541 4.939 3.836
Sm 5.003 3.778 6.449
Sm 9.147 6.907 9.920
Sm 7.609 5.745 12.532
Sm 4.619 7.128 6.559
Sm 6.373 1.189 1.986
Sm 6.029 8.193 9.810
Sm 9.531 3.556 9.810
```

No. 2
LiHfZn3: optimized geometry, PBE.

## Properties
Its excess energy over the best structure of this formula in the dataset is 166.7 meV per atom. As for the energy of formation from the pure elements: 174 meV/atom.

extended XYZ file:
```
5
Lattice="4.279 0.000 0.000 0.000 4.279 0.000 0.000 0.000 4.279" Properties=species:S:1:pos:R:3 pbc="T T T"
Zn 0.000 2.139 0.000
Zn 0.000 0.000 2.139
Zn 2.139 0.000 0.000
Hf 2.139 2.139 2.139
Li 0.000 0.000 0.000
```

No. 3
RbLi2Bi2: optimized geometry, PBE.

## Properties
Its excess energy over the best structure of this formula in the dataset is 0.0 meV per atom. As for the energy of formation from the pure elements: -373 meV/atom.

extended XYZ file:
```
10
Lattice="-9.147 -0.926 -0.751 1.030 -3.218 -8.583 0.216 -3.102 1.189" Properties=species:S:1:pos:R:3 pbc="T T T"
Bi -0.612 -3.791 -5.117
Bi -4.984 -4.884 -7.173
Bi -7.289 -3.456 -3.028
Bi -2.917 -2.363 -0.973
Rb 0.000 0.000 0.000
Rb -4.059 -2.072 -4.667
Li -2.499 -3.148 -7.758
Li -7.323 -2.830 -6.050
Li -5.618 -0.996 -1.577
Li -0.794 -1.314 -3.284
```

No. 4
Rb2HoCu2S4: optimized geometry, PBE.

## Properties
Its raw formation energy is -1.124 eV/atom.

extended XYZ file:
```
9
Lattice="3.916 0.000 0.000 0.000 7.843 0.445 -1.958 -2.700 6.795" Properties=species:S:1:pos:R:3 pbc="T T T"
Rb 0.000 3.634 2.046
Rb 1.958 1.509 5.194
Ho 0.000 0.000 0.000
Cu 1.958 6.760 2.888
Cu 0.000 -1.617 4.352
S 0.000 0.179 2.790
S 1.958 4.964 4.450
S 1.958 5.962 0.664
S 0.000 -0.820 6.576
```

No. 5
NiBiRhSe2: optimized geometry, PBE.

## Properties
Its raw formation energy is 0.370 eV/atom.

extended XYZ file:
```
5
Lattice="4.921 0.000 0.000 0.000 4.585 0.000 0.000 0.000 4.921" Properties=species:S:1:pos:R:3 pbc="T T T"
Ni 0.000 2.292 0.000
Rh 0.000 0.000 0.000
Bi 2.461 2.292 2.461
Se 0.000 0.000 2.461
Se 2.461 0.000 0.000
```

No. 6
Re2AgSe: optimized geometry, PBE.

## Properties
Its raw formation energy is 0.851 eV/atom.

extended XYZ file:
```
4
Lattice="3.049 0.000 0.000 0.000 3.049 0.000 0.000 0.000 6.742" Properties=species:S:1:pos:R:3 pbc="T T T"
Ag 1.524 1.524 5.056
Re 0.000 0.000 0.241
Re 0.000 0.000 3.130
Se 1.524 1.524 1.685
```

No. 7
La3AlGe: optimized geometry, PBE.

## Properties
- - -
    4.2 This website does not use or require cookies, and it does not collect any type of information or data from its users, either through website forms or by any other means. Because of this, no data or information is shared with or disclosed to any third parties at any time, or under any circumstances. Any appearance of cookies being used by this website is unintentional and beyond the control of the website’s owner, and any such cookies that do exist will not be accessed, viewed, or used in any way.
    5.1. James Coil is an independent contractor who aims to simplify the procedures used in relation to his translation services, including those for requesting, approving, managing, and invoicing the translations provided. Additional information regarding these procedures will be provided to potential clients after they have made their initial contact with James Coil by email, by means of his full Terms of Service document.
    5.2. Means of payment are agreed upon with each individual client at the appropriate time. Other terms of service, such as delivery deadlines, requests for creation of translation memories or glossaries, or other details can always be determined in collaboration with James Coil, in a customized manner and on a case-by-case basis.
    5.3. James Coil endeavors to maintain the highest possible standards of translation quality, professionalism, and courtesy. This includes rejecting any use of “machine translation”, with the sole exception being potential use of such contents when provided by the clients themselves. If any client has queries, complaints, or claims about the quality, contents, or fitness for use of the translations provided by James Coil, the client should bring these to his attention so that an amicable solution can be determined, on the basis of commercial relations carried out in good faith.
    5.4. Certificates of Translation Accuracy. James Coil is an ATA-certified translator in the Spanish into English language pair, which means that he is authorized to issue a “Certificate of Translation Accuracy” bearing his signature and personal, numbered ATA seal. These certificates are provided to clients upon request, for a small additional fee.
    5.5. Direct and third-party liability. Because James Coil does not operate under a limited liability business structure, it is expressly stated here that it will not be possible for him to accept, and he does not accept, any form or amount of direct or third-party liability, beyond refunding of the full price paid for the translation(s) provided in cases where reasonably justified.
    5.6. The translation services provided in accordance with these Terms of Service are subject to the laws of Portugal, and the courts or other mediation bodies of the district of Faro, Portugal must be understood as the agreed-upon venues for addressing any disputes that arise in relation to those services, whenever they cannot be resolved in an amicable manner after reasonable efforts have been made to do so in good faith.